(Contents)
┌──
# 1
C45H60CdN7O3S2Se | wB97M-V/def2-TZVPD

Summary:
HOMO energy ... -4.3 eV
Total charge ... -1
E ... -5725.47490 Ha
ΔE to the lowest compared entry with this formula, charge and spin ... 26.63 kJ/mol
HOMO-LUMO gap ... 0.208 Ha
F_max ... 0.6 eV/Å

Geometry (Å):
Cd 1.091489 -0.017557 1.507140
C -2.006532 0.774569 -5.314601
C -1.121228 2.000184 -5.050737
C -1.913511 3.248959 -5.436620
C 0.119955 1.921764 -5.949260
C -0.697461 2.016392 -3.586045
C -0.008235 0.936916 -3.047906
C 0.347689 0.898670 -1.717665
Se 1.307629 -0.629644 -1.081276
C -0.113189 -1.917032 -1.013843
C -0.278332 -2.707922 -2.138953
C -1.274867 -3.668723 -2.204703
C -2.061946 -3.813461 -1.065597
C -1.923267 -3.064683 0.092978
C -0.940606 -2.029009 0.133746
O -0.813022 -1.251860 1.162505
C -2.867108 -3.436863 1.251416
C -4.320187 -3.217911 0.805446
C -2.663729 -4.920391 1.600490
C -2.674963 -2.659454 2.557388
C -1.530313 -4.537987 -3.431486
C -1.412679 -6.020802 -3.057838
C -0.533254 -4.249865 -4.554124
C -2.942895 -4.265772 -3.966193
C 0.048119 1.953551 -0.801164
O 0.322535 1.870254 0.462273
C -0.577949 3.098203 -1.375052
C -0.939730 3.071845 -2.719627
C -0.919123 4.398919 -0.628604
C -0.271939 5.582546 -1.366773
C -0.440682 4.483383 0.820523
C -2.442352 4.589818 -0.614289
H -2.326347 0.747216 -6.358877
H -2.892989 0.799136 -4.680371
H -1.476467 -0.152635 -5.100438
H -2.213953 3.182503 -6.483941
H -1.320328 4.156139 -5.316554
H -2.816315 3.352183 -4.833879
H -0.165403 1.879171 -7.002816
H 0.712509 1.036171 -5.723757
H 0.756562 2.794354 -5.798399
H 0.247723 0.086081 -3.668993
H 0.398488 -2.554366 -2.967696
H -2.837047 -4.571444 -1.082067
H -4.590752 -3.862242 -0.030795
H -4.469096 -2.183880 0.492146
H -5.005275 -3.431778 1.630077
H -2.802095 -5.571988 0.739134
H -3.375637 -5.224997 2.372106
H -1.654746 -5.082068 1.981751
H -2.953960 -1.614725 2.438614
H -1.647278 -2.685565 2.908950
H -3.329700 -3.113705 3.310482
H -0.426262 -6.235378 -2.646064
H -1.566274 -6.651079 -3.936369
H -2.152938 -6.303095 -2.309552
H 0.493704 -4.422904 -4.232952
H -0.609725 -3.219760 -4.902337
H -0.735755 -4.906197 -5.402437
H -3.699507 -4.490047 -3.214447
H -3.147630 -4.879314 -4.846514
H -3.050313 -3.216579 -4.243004
H -1.449265 3.942499 -3.108648
H 0.814163 5.483591 -1.360237
H -0.532706 6.520917 -0.871199
H -0.593081 5.651958 -2.404930
H 0.627818 4.304103 0.907953
H -0.950997 3.762204 1.449644
H -0.667462 5.488006 1.192680
H -2.850310 4.679698 -1.620869
H -2.704789 5.494967 -0.061209
H -2.923632 3.739810 -0.130095
S 6.496411 6.076572 3.336302
N 6.605674 4.667263 2.547408
C 5.417942 4.082475 2.619051
C 5.064302 2.794292 2.046354
C 5.970721 2.018335 1.324001
C 5.542111 0.812768 0.819312
C 4.215554 0.422668 1.031921
N 3.347436 1.171866 1.697066
C 3.762199 2.325242 2.217675
C 2.773901 3.105401 2.993584
N 1.579659 2.545986 3.177097
C 0.687513 3.200300 3.890693
C 0.911089 4.464175 4.440581
C 2.145501 5.048354 4.258340
C 3.110419 4.350984 3.534553
C 4.461019 4.849883 3.335773
N 4.945200 5.996712 3.791978
H 6.982437 2.374746 1.186920
H 6.202293 0.163572 0.261680
H 3.835163 -0.541100 0.704609
H -0.261909 2.699463 4.050747
H 0.127959 4.956840 4.999914
H 2.389421 6.017251 4.671994
N -1.914023 1.155001 2.234590
N -2.121236 0.762669 3.562697
C -1.301070 0.058358 4.353999
N -1.892564 -0.367056 5.519420
S 0.333363 -0.229685 4.131900
H -1.081789 1.736942 2.148048
H -1.758971 0.307324 1.664851
H -3.087468 0.834701 3.849746
H -2.872208 -0.606375 5.471621
H -1.329015 -1.020908 6.037427
C 3.067473 -4.042235 1.181772
C 2.472491 -3.009227 2.149630
C 3.380905 -2.879335 3.381999
C 1.081866 -3.497295 2.592841
O 2.385739 -1.799014 1.491539
H 3.172325 -5.030650 1.637920
H 4.051102 -3.705899 0.847687
H 2.422825 -4.126041 0.305662
H 3.502096 -3.823175 3.920134
H 2.957750 -2.140861 4.066143
H 4.368277 -2.529261 3.072305
H 1.117349 -4.474023 3.086550
H 0.431585 -3.567138 1.719459
H 0.639886 -2.774884 3.278847

Atoms 1-6, force components in eV/Å:
Cd -0.0383 -0.0417 0.4747
C -0.0004 0.0137 0.0032
└──

(Assignment)
Type out the part of the contents further above that starts with the line with "-2.006532 0.774569" and stops after the one with "-1.366773", please.

(Result)
C -2.006532 0.774569 -5.314601
C -1.121228 2.000184 -5.050737
C -1.913511 3.248959 -5.436620
C 0.119955 1.921764 -5.949260
C -0.697461 2.016392 -3.586045
C -0.008235 0.936916 -3.047906
C 0.347689 0.898670 -1.717665
Se 1.307629 -0.629644 -1.081276
C -0.113189 -1.917032 -1.013843
C -0.278332 -2.707922 -2.138953
C -1.274867 -3.668723 -2.204703
C -2.061946 -3.813461 -1.065597
C -1.923267 -3.064683 0.092978
C -0.940606 -2.029009 0.133746
O -0.813022 -1.251860 1.162505
C -2.867108 -3.436863 1.251416
C -4.320187 -3.217911 0.805446
C -2.663729 -4.920391 1.600490
C -2.674963 -2.659454 2.557388
C -1.530313 -4.537987 -3.431486
C -1.412679 -6.020802 -3.057838
C -0.533254 -4.249865 -4.554124
C -2.942895 -4.265772 -3.966193
C 0.048119 1.953551 -0.801164
O 0.322535 1.870254 0.462273
C -0.577949 3.098203 -1.375052
C -0.939730 3.071845 -2.719627
C -0.919123 4.398919 -0.628604
C -0.271939 5.582546 -1.366773